On another note, ILs are on a cruise. Sheer insanity if you ask me considering FIL had open heart surgery and still has issues from that. Plus they barely allow them to leave the ship anyplace, so it is just being on a boat for a week. It was pre-pandemic booking that was rescheduled and they would lose money if they did not go. I really hope they do not
== Records of crystals, as found in the file ==
-- begin --
Entry from the Alexandria database: a relaxed PRhWO2 crystal (PBE with a Hubbard U).

## Properties
Raw total energy, eV/atom: -6.551
Polymorph energy (0 for the lowest one), meV per atom: 0

Lattice parameters (Å, degrees): 3.7826 3.7826 5.3247 90.00 90.00 90.00
With the nearest neighbours (Å) after each atom.
Space group P4/mmm (No. 123)
Unique sites:
1 P 0.0000 0.0000 0.0000  2 W 2.66, 4 Rh 2.67
-- stop --
get sick or stranded somewhere.
Ugh. PIL are taking a cruise in late May/early June (I think to Alaska?), and are super crabby that C's graduation is during their cruise. I'd take it as a sign to not go on a cruise but whatever.
I am on a flight headed to a cruise right now. I have clients cruising and my friend Clay is back to work with Norwegian after being unemployed from January 2020 to November 2021.
your ILs have no right to be crabby brodyjen . It's not like it was a surprise when C was going to graduate. Sure, maybe the exact date - but they knew what time of year it would happen...
While there were some ports that blocked a few ships for a few days in December during the Omicron flare, most ports are allowing vaccinated guests at least to disembark the ships. Cruise lines have changed itineraries to skip ports that are not. No one is going on a cruise and not disembarking all week.
Sorry they may not be giving us the right information, MIL said the excursions they booked were canceled but it may be for other reasons I just assumed. They originally booked this a long time ago, I just feel like given their health issues they should have waited a few more months but it was not an option without losing money.
Their pictures in the Bahamas are on land so they are off the ship at least for a bit.
And i totally get why people want to get back to cruising but FIL almost died a year ago and has a pacemaker and all sorts of medications for his heart.
Ship run excursions may be cancelled due to lack of capacity onshore or lack of interest among passengers or combination thereof. To some people, excursions = getting off the ship. We tend to do a lot of self guided touring so being in Port is all we need to get off the ship :-)
Having gotten sick on the one ship-based trip I ever took, my 1 criteria to ever do it again is knowing there is solid medical care on board. It was bad enough to have an about-to-rupture eardrum and then some kind of GI parasite and know that that shipboard doc was my only help. God forbid someone's heart goes or you have a stroke.
and of course there is the time my FIL wrecked his leg on a cruise in Chile and ended up in the Clinicia de los Andes for surgical repair.
- - -
[1]
A plane-wave DFT calculation with GGA-PBE was carried out for a relaxed Rb2TbPbO4 crystal.

abc: 6.315 6.316 6.473
angles: 119.27 119.26 89.88
Site moments in Bohr magnetons follow the coordinates.
Element x y z (fractional)
O 0.703 0.605 0.724  0.12
O 0.022 0.119 0.724  0.12
O 0.866 0.450 0.218  0.12
O 0.352 0.768 0.218  0.12
Tb 0.986 0.486 0.972  0.05
Rb 0.486 0.986 0.973  0.00
Rb 0.236 0.236 0.473  0.00
Pb 0.736 0.736 0.472  0.13

Summary:
V: 186.72 Å³/cell
Energy relative to the elements, uncorrected: -1.819 eV/atom
Space group: C2, No. 5
E_tot: -5.582 eV/atom

[2]
A plane-wave DFT calculation with GGA-PBE was carried out for a relaxed Rb2Tb2PbO6 crystal.

abc: 6.020 6.020 6.986
angles: 97.89 97.89 120.02
Element x y z (fractional)
Pb 0.000 0.000 0.500
O 0.382 0.049 0.669
O 0.951 0.618 0.331
O 0.264 0.264 0.331
O 0.618 0.951 0.331
O 0.736 0.736 0.669
O 0.049 0.382 0.669
Tb 0.666 0.334 0.500
Tb 0.334 0.666 0.500
Rb 0.835 0.165 0.000
Rb 0.165 0.835 0.000

Summary:
V: 210.79 Å³/cell
Energy relative to the elements, uncorrected: -2.219 eV/atom
Space group: C2/m, No. 12
E_tot: -6.279 eV/atom

[3]
A plane-wave DFT calculation with GGA-PBE was carried out for a relaxed Rb3Tb2PbO6 crystal.

abc: 6.185 6.185 6.899
angles: 98.57 98.57 120.01
Site moments in Bohr magnetons follow the coordinates.
Element x y z (fractional)
O 0.590 0.939 0.817  0.08
O 0.061 0.410 0.183  0.08
O 0.939 0.590 0.817  0.08
O 0.410 0.061 0.183  0.08
O 0.288 0.288 0.818  0.08
O 0.712 0.712 0.182  0.08
Tb 0.667 0.333 0.000  0.01
Tb 0.333 0.667 0.000  0.01
Rb 0.836 0.164 0.500  0.00
Rb 0.164 0.836 0.500  0.00
Rb 0.500 0.500 0.500  0.00
Pb 0.000 0.000 0.000  0.15

Summary:
V: 218.12 Å³/cell
Energy relative to the elements, uncorrected: -2.133 eV/atom
Space group: C2/m, No. 12
E_tot: -5.934 eV/atom

[4]
A plane-wave DFT calculation with GGA-PBE was carried out for a relaxed Rb3Tc2PbO8 crystal.

abc: 6.327 6.327 8.199
angles: 90.00 90.00 120.00
Site moments in Bohr magnetons follow the coordinates.
Element x y z (fractional)
O 0.333 0.667 0.004  0.06
O 0.822 0.178 0.694  0.08
O 0.357 0.178 0.694  0.08
O 0.822 0.643 0.694  0.08
O 0.178 0.822 0.306  0.08
O 0.643 0.822 0.306  0.08
O 0.667 0.333 0.996  0.06
O 0.178 0.357 0.306  0.08
Tc 0.667 0.333 0.780  0.97
Tc 0.333 0.667 0.220  0.97
Rb 0.000 0.000 0.000  0.00
Rb 0.667 0.333 0.330  0.01
Rb 0.333 0.667 0.670  0.01
Pb 0.000 0.000 0.500  0.05

Summary:
V: 284.22 Å³/cell
Energy relative to the elements, uncorrected: -1.506 eV/atom
Space group: P-3m1, No. 164
E_tot: -6.292 eV/atom

[5]
A plane-wave DFT calculation with GGA-PBE was carried out for a relaxed RbTc2PbO8 crystal.

abc: 6.261 6.323 7.918
angles: 60.57 66.71 60.32
Element x y z (fractional)
Tc 0.287 0.252 0.173
Tc 0.713 0.748 0.827
Rb 0.500 0.500 0.500
O 0.884 0.944 0.750
O 0.579 0.056 0.250
O 0.647 0.620 0.085
O 0.886 0.478 0.749
O 0.114 0.522 0.251
O 0.116 0.056 0.250
O 0.421 0.944 0.750
O 0.353 0.380 0.915
Pb 0.000 0.000 0.000

Summary:
V: 232.35 Å³/cell
- - -
Yup as a teen I got really lucky - got into a moped accident but a fellow passengers in our little group was an RN.
I must admit travelling with my then gf the flight RN /would be EMT was great in that respect.
Actually, many ships/ports are only allowing ship-sponsored excursions right now, especially lobes that allow children too young to be vaccinated. This is for contact tracing purposes.
I'm znot sure anyone with serious health conditions should be going anywhere but I feel better on a 100% vax'ed and multiply tested ship of people than I do going anywhere at home.
I think our vaxx rates are much higher and I'm still wary - but it's def better than without all the precautions and restrictions. My mind boggles at the places where "Covid-19 isn't a thing"
Honestly cruising doesn’t worry as much as a random pub in town
^^^ many cruises are vaccinated 95% or more and everyone is tested before boarding. I am more stressed about picking up Covid ont he flight down than on our planned cruise. Although our cruise is 100% vaccinated since we don’t have anyone under 13 permitted by the charter.
In comparison I live where people don’t wear masks and try to shame you if you do. Good bet many aren’t vaxxed either.
I really wouldn't fuss overmuch about being on a cruise right now (in fact, I am considering one with a friend who has a comp she offered me...) But if I was elderly or had some serious underlying condition? No way. Same answer as for going anywhere crowded where I couldn't get away from other people and didn't have access to immediate medical care.
pigglet27 , which charter?
juptonrd : Star Trek run by ECP
pigglet27 fun! My friend on NCL has a full ship charter boarding Friday but it's not that one.
juptonrd : we’ve been doing this one for a couple years. Frank is a total Trekkie.
I was happier on our holiday to the Canaries than going to a shopping centre - everyone on the flight was vaxxed likewise at the hotel.
I figure if I didn't get covid on a plane to/from Orlando before people were vaxed, planes are pretty safe. Getting on a plane where I know everyone is vaccinated or at least tested negative? No worries.
I have never worried about the plane. I would not worry about our family going on a cruise if we were cruise people. Alas, FIL almost died a year ago when he passed out and was in coma for 3 or 4 days. He was lucky MIL was at home and immediately called ambulance, and RTP area has kick ass hospitals.
He has always neglected his health till there is crisis, and is doing it again even after last year's ordeal. And won't listed to MIL or either of his kids. Gives me flashbacks before my dad was the same and died a decade before he likely needed to because he never took his health seriously.